**Assignment**
Next, type out the block below verbatim.
**Material**
/*
1.
The following is a simulated X-ray powder pattern of NaYTl2. It was derived from a PBE-relaxed structure, using λ = 1.5418 Å (Cu Kα).
Peak positions follow from Bragg's law for the DFT cell and can differ from measured ones.

The 10 most intense peaks (10 to 90 degrees two-theta), sorted by position:
two_theta	I (rel.)	hkl
23.36	36	2 0 0
33.28	100	2 2 0
41.06	12	2 2 2
47.77	18	4 0 0
53.84	16	4 2 0
59.46	38	4 2 2
69.87	12	4 4 0
74.80	8	6 0 0
79.62	16	6 2 0
84.36	5	6 2 2

Structure:
Cell lengths 7.6156, 7.6156, 7.6156 Å; angles 90.00, 90.00, 90.00 degrees
Space group Fm-3m (No. 225)
Asymmetric unit:
1 Na 0.0000 0.0000 0.0000 [4 per cell]
2 Y 0.0000 0.0000 0.5000 [4 per cell]
3 Tl 0.2500 0.2500 0.2500 [8 per cell]



2.
The following is a simulated X-ray powder pattern of Zn3Cd. It was derived from a PBE-relaxed structure, using λ = 1.5418 Å (Cu Kα).
Peak positions follow from Bragg's law for the DFT cell and can differ from measured ones.

The 10 most intense peaks (10 to 90 degrees two-theta), sorted by position:
two_theta	I (rel.)	hkl
21.34	2	0 0 2
24.32	6	1 0 1
37.97	100	1 1 2
43.47	17	0 0 4
44.46	32	2 0 0
63.93	20	2 0 4
64.70	10	2 2 0
76.12	12	1 1 6
77.54	22	3 1 2
81.19	10	2 2 4

Structure:
Cell lengths 4.0752, 4.0752, 8.3275 Å; angles 90.00, 90.00, 90.00 degrees
Space group I4/mmm (No. 139)
Asymmetric unit:
1 Zn 0.0000 0.0000 0.0000 [2 per cell]
2 Zn 0.0000 0.5000 0.2500 [4 per cell]
3 Cd 0.0000 0.0000 0.5000 [2 per cell]



3.
The following is a simulated X-ray powder pattern of BeNb4. It was derived from a PBE-relaxed structure, using λ = 1.5418 Å (Cu Kα).
Peak positions follow from Bragg's law for the DFT cell and can differ from measured ones.

The 10 most intense peaks (10 to 90 degrees two-theta), sorted by position:
two_theta	I (rel.)	hkl
16.94	11	1 1 1
34.27	100	2 2 2
39.78	46	4 0 0
43.53	9	3 3 1
52.46	16	3 3 3
57.52	28	4 4 0
68.70	27	6 2 2
72.22	7	4 4 4
74.81	9	5 5 1
81.59	8	7 3 1

Structure:
Cell lengths 9.0633, 9.0633, 9.0633 Å; angles 90.00, 90.00, 90.00 degrees
Space group Fd-3m (No. 227, origin choice 2)
Asymmetric unit:
1 Be 0.1250 0.1250 0.1250 [8 per cell]
2 Nb 0.0154 0.0154 0.7346 [32 per cell]



4.
The following is a simulated X-ray powder pattern of ThBC. It was derived from a PBE-relaxed structure, using λ = 1.5418 Å (Cu Kα).
Peak positions follow from Bragg's law for the DFT cell and can differ from measured ones.

The 10 most intense peaks (10 to 90 degrees two-theta), sorted by position:
two_theta	I (rel.)	hkl
25.81	74	1 0 3
28.22	48	0 0 8
29.48	78	1 0 5
34.27	100	1 1 2
39.91	17	1 1 6
48.09	19	2 0 0
49.59	37	1 1 10
56.28	18	2 1 4
56.70	18	2 0 8
*/
**Here it is**
1.
The following is a simulated X-ray powder pattern of NaYTl2. It was derived from a PBE-relaxed structure, using λ = 1.5418 Å (Cu Kα).
Peak positions follow from Bragg's law for the DFT cell and can differ from measured ones.

The 10 most intense peaks (10 to 90 degrees two-theta), sorted by position:
two_theta	I (rel.)	hkl
23.36	36	2 0 0
33.28	100	2 2 0
41.06	12	2 2 2
47.77	18	4 0 0
53.84	16	4 2 0
59.46	38	4 2 2
69.87	12	4 4 0
74.80	8	6 0 0
79.62	16	6 2 0
84.36	5	6 2 2

Structure:
Cell lengths 7.6156, 7.6156, 7.6156 Å; angles 90.00, 90.00, 90.00 degrees
Space group Fm-3m (No. 225)
Asymmetric unit:
1 Na 0.0000 0.0000 0.0000 [4 per cell]
2 Y 0.0000 0.0000 0.5000 [4 per cell]
3 Tl 0.2500 0.2500 0.2500 [8 per cell]



2.
The following is a simulated X-ray powder pattern of Zn3Cd. It was derived from a PBE-relaxed structure, using λ = 1.5418 Å (Cu Kα).
Peak positions follow from Bragg's law for the DFT cell and can differ from measured ones.

The 10 most intense peaks (10 to 90 degrees two-theta), sorted by position:
two_theta	I (rel.)	hkl
21.34	2	0 0 2
24.32	6	1 0 1
37.97	100	1 1 2
43.47	17	0 0 4
44.46	32	2 0 0
63.93	20	2 0 4
64.70	10	2 2 0
76.12	12	1 1 6
77.54	22	3 1 2
81.19	10	2 2 4

Structure:
Cell lengths 4.0752, 4.0752, 8.3275 Å; angles 90.00, 90.00, 90.00 degrees
Space group I4/mmm (No. 139)
Asymmetric unit:
1 Zn 0.0000 0.0000 0.0000 [2 per cell]
2 Zn 0.0000 0.5000 0.2500 [4 per cell]
3 Cd 0.0000 0.0000 0.5000 [2 per cell]



3.
The following is a simulated X-ray powder pattern of BeNb4. It was derived from a PBE-relaxed structure, using λ = 1.5418 Å (Cu Kα).
Peak positions follow from Bragg's law for the DFT cell and can differ from measured ones.

The 10 most intense peaks (10 to 90 degrees two-theta), sorted by position:
two_theta	I (rel.)	hkl
16.94	11	1 1 1
34.27	100	2 2 2
39.78	46	4 0 0
43.53	9	3 3 1
52.46	16	3 3 3
57.52	28	4 4 0
68.70	27	6 2 2
72.22	7	4 4 4
74.81	9	5 5 1
81.59	8	7 3 1

Structure:
Cell lengths 9.0633, 9.0633, 9.0633 Å; angles 90.00, 90.00, 90.00 degrees
Space group Fd-3m (No. 227, origin choice 2)
Asymmetric unit:
1 Be 0.1250 0.1250 0.1250 [8 per cell]
2 Nb 0.0154 0.0154 0.7346 [32 per cell]



4.
The following is a simulated X-ray powder pattern of ThBC. It was derived from a PBE-relaxed structure, using λ = 1.5418 Å (Cu Kα).
Peak positions follow from Bragg's law for the DFT cell and can differ from measured ones.

The 10 most intense peaks (10 to 90 degrees two-theta), sorted by position:
two_theta	I (rel.)	hkl
25.81	74	1 0 3
28.22	48	0 0 8
29.48	78	1 0 5
34.27	100	1 1 2
39.91	17	1 1 6
48.09	19	2 0 0
49.59	37	1 1 10
56.28	18	2 1 4
56.70	18	2 0 8